(Activity)
Now duplicate everything further down verbatim.

(Input)
=====
No. 1
Material: KCd2Cu
Method: DFT, PBE-GGA
State: relaxed

Lattice parameters (Å, degrees): 4.761 4.761 6.791 110.84 110.84 59.18
Sites, in units of the cell vectors:
K 0.000 0.000 0.000
Cd 0.528 0.528 0.570
Cd 0.813 0.813 0.429
Cu 0.186 0.186 0.543

Output
- Magnetization: 0.0 μB per formula unit
- E_tot: -0.063 hartree per atom
- N(E_F): 2.28 states/eV/f.u.
- Offset from the most stable computed form: 5 meV/atom
- ΔE_f: 36 meV per atom

---

No. 2
Material: SrRuO2
Method: DFT, PBE-GGA
State: relaxed

Lattice parameters (Å, degrees): 4.166 4.166 4.166 60.00 60.00 60.00
Sites, in units of the cell vectors:
Sr 0.000 0.000 0.000
Ru 0.500 0.500 0.500
O 0.250 0.250 0.250
O 0.750 0.750 0.750

Output
- Magnetization: 0.0 μB per formula unit
- E_tot: -0.219 hartree per atom
- Raw formation energy: -0.74 eV per atom
- N(E_F): 3.20 states/eV/f.u.
- Offset from the most stable computed form: 572 meV/atom

---

No. 3
Material: SrTa2Re
Method: DFT, PBE-GGA
State: relaxed

Lattice parameters (Å, degrees): 3.116 4.914 5.147 90.00 90.00 90.00
Sites, in units of the cell vectors:
Sr 0.000 0.000 0.000
Ta 0.000 0.500 0.500
Ta 0.500 0.500 0.000
Re 0.500 0.000 0.500

Output
- Magnetization: 0.0 μB per formula unit
- E_tot: -0.309 hartree per atom
- N(E_F): 4.60 states/eV/f.u.
- Offset from the most stable computed form: 577 meV/atom
- ΔE_f: 1054 meV per atom

---

no.,density (Mg/m³)
1,4.508
2,7.170
3,13.394

----------

<A>
ErZn10Ni2: relaxed, GGA-PBE.

## Properties
symmetry = Cmcm, No. 63
total magnetization = 0.0 Bohr magnetons per cell

Unit cell a=6.740 b=6.740 c=8.643 alpha=90.00 beta=90.00 gamma=98.76
Fractional positions:
1 Er 0.128 0.872 0.750
2 Er 0.872 0.128 0.250
3 Zn 0.140 0.402 0.750
4 Zn 0.151 0.849 0.099
5 Zn 0.151 0.849 0.401
6 Zn 0.219 0.474 0.250
7 Zn 0.227 0.227 0.000
8 Zn 0.227 0.227 0.500
9 Zn 0.375 0.625 0.543
10 Zn 0.375 0.625 0.957
11 Zn 0.402 0.140 0.250
12 Zn 0.474 0.219 0.750
13 Zn 0.526 0.781 0.250
14 Zn 0.598 0.860 0.750
15 Zn 0.625 0.375 0.043
16 Zn 0.625 0.375 0.457
17 Zn 0.773 0.773 0.000
18 Zn 0.773 0.773 0.500
19 Zn 0.781 0.526 0.750
20 Zn 0.849 0.151 0.599
21 Zn 0.849 0.151 0.901
22 Zn 0.860 0.598 0.250
23 Ni 0.000 0.500 0.000
24 Ni 0.000 0.500 0.500
25 Ni 0.500 0.000 0.000
26 Ni 0.500 0.000 0.500


<B>
ErZn10Ni2: relaxed, GGA-PBE.

## Properties
symmetry = Fmmm, No. 69
total magnetization = 0.0 Bohr magnetons per cell

Unit cell a=8.834 b=6.770 c=6.688 alpha=82.05 beta=49.38 gamma=48.57
Fractional positions:
1 Er 0.000 0.000 0.000
2 Zn 0.000 0.500 0.000
3 Zn 0.015 0.653 0.347
4 Zn 0.284 0.507 0.493
5 Zn 0.347 0.985 0.015
6 Zn 0.493 0.716 0.284
7 Zn 0.500 0.000 0.500
8 Zn 0.507 0.284 0.716
9 Zn 0.653 0.015 0.985
10 Zn 0.716 0.493 0.507
11 Zn 0.985 0.347 0.653
12 Ni 0.000 0.000 0.500
13 Ni 0.500 0.500 0.000


It comes down to <A>, which is 2.2 kJ/mol of atoms more stable than the next structure.


<A>
Er12ZnNi6: relaxed, GGA-PBE.

## Properties
symmetry = R-3, No. 148
total magnetization = 0.0 Bohr magnetons per cell

Unit cell a=8.112 b=8.112 c=8.112 alpha=103.72 beta=103.72 gamma=103.72
Fractional positions:
1 Er 0.075 0.330 0.924
2 Er 0.076 0.925 0.670
3 Er 0.169 0.550 0.408
4 Er 0.330 0.924 0.075
5 Er 0.408 0.169 0.550
6 Er 0.450 0.592 0.831
7 Er 0.550 0.408 0.169
8 Er 0.592 0.831 0.450
9 Er 0.670 0.076 0.925
10 Er 0.831 0.450 0.592
11 Er 0.924 0.075 0.330
12 Er 0.925 0.670 0.076
13 Zn 0.000 0.000 0.000
14 Ni 0.146 0.317 0.617
15 Ni 0.317 0.617 0.146
16 Ni 0.383 0.854 0.683
17 Ni 0.617 0.146 0.317
18 Ni 0.683 0.383 0.854
19 Ni 0.854 0.683 0.383


<B>
Er12ZnNi6: relaxed, GGA-PBE.

## Properties
symmetry = Im-3, No. 204
total magnetization = 0.0 Bohr magnetons per cell

Unit cell a=8.272 b=8.272 c=8.272 alpha=109.47 beta=109.47 gamma=109.47
Fractional positions:
1 Er 0.114 0.814 0.300
2 Er 0.186 0.300 0.487
3 Er 0.186 0.700 0.886
4 Er 0.300 0.114 0.814
5 Er 0.300 0.487 0.186
6 Er 0.487 0.186 0.300
7 Er 0.513 0.814 0.700
8 Er 0.700 0.513 0.814
9 Er 0.700 0.886 0.186
10 Er 0.814 0.300 0.114
=====

(Done)
No. 1
Material: KCd2Cu
Method: DFT, PBE-GGA
State: relaxed

Lattice parameters (Å, degrees): 4.761 4.761 6.791 110.84 110.84 59.18
Sites, in units of the cell vectors:
K 0.000 0.000 0.000
Cd 0.528 0.528 0.570
Cd 0.813 0.813 0.429
Cu 0.186 0.186 0.543

Output
- Magnetization: 0.0 μB per formula unit
- E_tot: -0.063 hartree per atom
- N(E_F): 2.28 states/eV/f.u.
- Offset from the most stable computed form: 5 meV/atom
- ΔE_f: 36 meV per atom

---

No. 2
Material: SrRuO2
Method: DFT, PBE-GGA
State: relaxed

Lattice parameters (Å, degrees): 4.166 4.166 4.166 60.00 60.00 60.00
Sites, in units of the cell vectors:
Sr 0.000 0.000 0.000
Ru 0.500 0.500 0.500
O 0.250 0.250 0.250
O 0.750 0.750 0.750

Output
- Magnetization: 0.0 μB per formula unit
- E_tot: -0.219 hartree per atom
- Raw formation energy: -0.74 eV per atom
- N(E_F): 3.20 states/eV/f.u.
- Offset from the most stable computed form: 572 meV/atom

---

No. 3
Material: SrTa2Re
Method: DFT, PBE-GGA
State: relaxed

Lattice parameters (Å, degrees): 3.116 4.914 5.147 90.00 90.00 90.00
Sites, in units of the cell vectors:
Sr 0.000 0.000 0.000
Ta 0.000 0.500 0.500
Ta 0.500 0.500 0.000
Re 0.500 0.000 0.500

Output
- Magnetization: 0.0 μB per formula unit
- E_tot: -0.309 hartree per atom
- N(E_F): 4.60 states/eV/f.u.
- Offset from the most stable computed form: 577 meV/atom
- ΔE_f: 1054 meV per atom

---

no.,density (Mg/m³)
1,4.508
2,7.170
3,13.394

----------

<A>
ErZn10Ni2: relaxed, GGA-PBE.

## Properties
symmetry = Cmcm, No. 63
total magnetization = 0.0 Bohr magnetons per cell

Unit cell a=6.740 b=6.740 c=8.643 alpha=90.00 beta=90.00 gamma=98.76
Fractional positions:
1 Er 0.128 0.872 0.750
2 Er 0.872 0.128 0.250
3 Zn 0.140 0.402 0.750
4 Zn 0.151 0.849 0.099
5 Zn 0.151 0.849 0.401
6 Zn 0.219 0.474 0.250
7 Zn 0.227 0.227 0.000
8 Zn 0.227 0.227 0.500
9 Zn 0.375 0.625 0.543
10 Zn 0.375 0.625 0.957
11 Zn 0.402 0.140 0.250
12 Zn 0.474 0.219 0.750
13 Zn 0.526 0.781 0.250
14 Zn 0.598 0.860 0.750
15 Zn 0.625 0.375 0.043
16 Zn 0.625 0.375 0.457
17 Zn 0.773 0.773 0.000
18 Zn 0.773 0.773 0.500
19 Zn 0.781 0.526 0.750
20 Zn 0.849 0.151 0.599
21 Zn 0.849 0.151 0.901
22 Zn 0.860 0.598 0.250
23 Ni 0.000 0.500 0.000
24 Ni 0.000 0.500 0.500
25 Ni 0.500 0.000 0.000
26 Ni 0.500 0.000 0.500


<B>
ErZn10Ni2: relaxed, GGA-PBE.

## Properties
symmetry = Fmmm, No. 69
total magnetization = 0.0 Bohr magnetons per cell

Unit cell a=8.834 b=6.770 c=6.688 alpha=82.05 beta=49.38 gamma=48.57
Fractional positions:
1 Er 0.000 0.000 0.000
2 Zn 0.000 0.500 0.000
3 Zn 0.015 0.653 0.347
4 Zn 0.284 0.507 0.493
5 Zn 0.347 0.985 0.015
6 Zn 0.493 0.716 0.284
7 Zn 0.500 0.000 0.500
8 Zn 0.507 0.284 0.716
9 Zn 0.653 0.015 0.985
10 Zn 0.716 0.493 0.507
11 Zn 0.985 0.347 0.653
12 Ni 0.000 0.000 0.500
13 Ni 0.500 0.500 0.000


It comes down to <A>, which is 2.2 kJ/mol of atoms more stable than the next structure.


<A>
Er12ZnNi6: relaxed, GGA-PBE.

## Properties
symmetry = R-3, No. 148
total magnetization = 0.0 Bohr magnetons per cell

Unit cell a=8.112 b=8.112 c=8.112 alpha=103.72 beta=103.72 gamma=103.72
Fractional positions:
1 Er 0.075 0.330 0.924
2 Er 0.076 0.925 0.670
3 Er 0.169 0.550 0.408
4 Er 0.330 0.924 0.075
5 Er 0.408 0.169 0.550
6 Er 0.450 0.592 0.831
7 Er 0.550 0.408 0.169
8 Er 0.592 0.831 0.450
9 Er 0.670 0.076 0.925
10 Er 0.831 0.450 0.592
11 Er 0.924 0.075 0.330
12 Er 0.925 0.670 0.076
13 Zn 0.000 0.000 0.000
14 Ni 0.146 0.317 0.617
15 Ni 0.317 0.617 0.146
16 Ni 0.383 0.854 0.683
17 Ni 0.617 0.146 0.317
18 Ni 0.683 0.383 0.854
19 Ni 0.854 0.683 0.383


<B>
Er12ZnNi6: relaxed, GGA-PBE.

## Properties
symmetry = Im-3, No. 204
total magnetization = 0.0 Bohr magnetons per cell

Unit cell a=8.272 b=8.272 c=8.272 alpha=109.47 beta=109.47 gamma=109.47
Fractional positions:
1 Er 0.114 0.814 0.300
2 Er 0.186 0.300 0.487
3 Er 0.186 0.700 0.886
4 Er 0.300 0.114 0.814
5 Er 0.300 0.487 0.186
6 Er 0.487 0.186 0.300
7 Er 0.513 0.814 0.700
8 Er 0.700 0.513 0.814
9 Er 0.700 0.886 0.186
10 Er 0.814 0.300 0.114